by Ingredient

Baby Foods

Nutrition Facts

### What comes next are molecular data, not part of the entry
<<<
Computed, not measured: a single C5H12N2O molecule at a distorted geometry, with ωB97M-V with the def2-TZVPD basis set.

Values from the calculation:
Energy above the lowest of the compared OMol25 structures with the same formula, charge and spin ... 53.2 kcal/mol
Charge ... 0
SMILES string ... CN[C@H](CN)CC=O

Geometry (Å):
O -0.896117 -2.904043 -0.703455
N 0.994443 0.972885 0.351537
N -0.554811 1.135314 -2.148153
C 0.055057 -1.316896 0.790707
C 0.261231 1.619821 1.413083
C 0.370354 -0.198010 -0.268404
C -0.100286 -2.657038 0.171891
C -0.884287 0.267495 -1.045362
H 1.075350 -0.530471 -1.038547
H -1.318541 -0.660202 -1.422950
H -0.283880 1.047167 2.169538
H -0.121841 0.680691 -2.931521
H 0.510400 -3.489149 0.573033
H -0.354740 2.464871 1.091247
H -0.129151 1.998433 -1.858739
H 0.998575 2.199207 1.981045
H 0.843048 -1.259934 1.531000
H -0.911820 -0.939226 1.072655
H 1.935772 0.723737 0.618429
H -1.488762 0.845339 -0.347038

Atomic forces in eV per Å
0.157 0.107 -0.008
-0.241 -0.736 -0.353
-0.965 0.114 -0.050
0.317 1.156 -1.576
0.892 1.603 0.875
0.346 0.536 -0.347
-0.434 -0.583 0.034
1.373 -0.424 -0.039
0.036 -0.243 0.201
-0.661 0.381 0.171
-0.046 -0.438 -0.337
0.303 0.100 0.019
0.209 0.130 -0.001
-0.471 -0.495 -0.498
0.403 -0.090 -0.153
0.120 -0.291 0.184
-0.247 -0.235 0.479
-0.492 -0.400 1.160
-0.036 0.215 0.257
-0.560 -0.408 -0.018

=====

(1)
Molecular formula: CH26MnO17P
Method: DFT, ωB97M-V with the def2-TZVPD basis set

Positions of all 46 atoms, in Å:
1 O 2.44 0.49 -2.50
2 H 2.64 1.06 -1.74
3 H 3.21 -0.09 -2.69
4 H 1.66 -0.08 -2.23
5 O 1.02 3.40 0.59
6 H 1.94 3.13 0.38
7 H 0.40 2.66 0.20
8 H 0.85 4.25 0.14
9 O -3.48 1.17 -0.36
10 H -3.96 1.41 0.46
11 H -2.71 0.48 -0.14
12 H -3.07 1.95 -0.75
13 O -1.50 -1.85 2.43
14 H -2.05 -2.65 2.43
15 H -0.48 -2.11 2.50
16 H -1.63 -1.35 1.56
17 O -1.03 3.15 -2.91
18 H -1.03 4.05 -2.53
19 H -0.48 3.18 -3.73
20 H -0.67 2.43 -2.23
21 O 1.02 -3.46 -1.06
22 H 0.67 -2.55 -0.83
23 H 1.33 -3.89 -0.18
24 H 1.71 -3.44 -1.72
25 Mn 1.87 -0.44 1.53
26 C 1.91 -2.97 1.74
27 O 0.82 -2.26 1.92
28 O 2.95 -2.21 1.77
29 O 1.90 -4.15 1.32
30 P -0.22 0.36 -0.03
31 O 1.00 -0.50 -0.51
32 O -1.53 -0.47 0.09
33 O -0.31 1.60 -1.00
34 O 0.27 0.72 1.38
35 O 2.13 0.20 3.59
36 H 1.62 0.76 4.18
37 H 2.91 -0.06 4.10
38 O -1.83 1.61 2.89
39 H -1.06 1.40 2.34
40 H -1.50 1.67 3.80
41 O -0.47 -0.26 -3.29
42 H -0.29 0.29 -2.52
43 H -1.40 -0.13 -3.51
44 O -1.82 -2.57 -1.62
45 H -1.92 -2.02 -2.41
46 H -1.85 -1.96 -0.87

Calculated values
- Spin multiplicity: 6
- Charge: +3
- DFT total energy: -2824.18334 Ha

---

(2)
Molecular formula: CH29NO13
Method: DFT, ωB97M-V with the def2-TZVPD basis set

Positions of all 44 atoms, in Å:
1 N -0.87 -1.31 -1.42
2 C -1.20 0.08 -1.13
3 O -2.09 0.18 -0.03
4 H -0.44 -1.75 -0.62
5 H -1.68 -1.85 -1.71
6 H -0.28 0.65 -0.98
7 H -1.74 0.49 -2.00
8 H 0.78 0.75 3.39
9 H 1.24 -1.20 -2.70
10 H 2.30 -1.22 -3.82
11 O 2.03 -0.70 -3.04
12 H 1.70 4.07 -1.95
13 H 0.61 2.90 -1.92
14 O 1.52 3.15 -1.70
15 H 1.73 -2.40 1.68
>>>

Found 289 matching food items.

Someone pasted calculated molecules at this point.
~~~
Record 1
~~~
The article goes on.

Infant formula, MEAD JOHNSON, ENFAMIL, NUTRAMIGEN LIPIL, with iron, powder, not reconstituted, with ARA and DHA
Infant formula, MEAD JOHNSON, ENFAMIL, NUTRAMIGEN LIPIL, with iron, ready to feed, with ARA and DHA
Infant formula, MEAD JOHNSON, ENFAMIL, PROSOBEE LIPIL, Liquid Concentrate, with ARA and DHA
Infant formula, MEAD JOHNSON, ENFAMIL, PROSOBEE LIPIL, with iron, powder, not reconstituted, with ARA and DHA
Infant formula, MEAD JOHNSON, ENFAMIL, PROSOBEE, with iron, powder, not reconstituted
Infant formula, MEAD JOHNSON, ENFAMIL, with iron, liquid concentrate, not reconstituted
Infant formula, MEAD JOHNSON, ENFAMIL, with iron, powder
Infant formula, MEAD JOHNSON, ENFAMIL, with iron, ready-to-feed
Infant formula, MEAD JOHNSON, ENFAMIL,NUTRAMIGEN, LIPIL, with iron, liquid concentrate not reconstituted, with ARA and DHA
Infant formula, MEAD JOHNSON, LOFENALAC, with iron, prepared from powder
Infant formula, MEAD JOHNSON, NEXT STEP PROSOBEE, powder, not reconstituted
Infant formula, MEAD JOHNSON, NEXT STEP, PROSOBEE LIPIL, powder, with ARA and DHA
Infant formula, MEAD JOHNSON, NEXT STEP, PROSOBEE, LIPIL, ready to feed, with ARA and DHA
Infant formula, MEAD JOHNSON, PREGESTIMIL, with iron, powder, not reconstituted
Infant formula, MEAD JOHNSON, PREGESTIMIL, with iron, prepared from powder
Infant formula, MEAD JOHNSON, PROSOBEE LIPIL, with iron, ready to feed, with ARA and DHA
Infant formula, MEAD JOHNSON, PROSOBEE, with iron, liquid concentrate, not reconstituted
Infant formula, MEAD JOHNSON,NEXT STEP PROSOBEE, prepared from powder
Infant formula, NESTLE, GOOD START 2 ESSENTIALS, with iron, liquid concentrate
Infant formula, NESTLE, GOOD START 2 ESSENTIALS, with iron, powder
Infant formula, NESTLE, GOOD START 2 ESSENTIALS, with iron, ready-to-feed
Infant formula, NESTLE, GOOD START ESSENTIALS SOY, iron, powder
Infant formula, NESTLE, GOOD START ESSENTIALS SOY, with iron, liquid concentrate
Infant formula, NESTLE, GOOD START SUPREME, with iron, liquid concentrate
Infant formula, NESTLE, GOOD START SUPREME, with iron, powder
Infant formula, NESTLE, GOOD START SUPREME, with iron, ready-to-feed
Infant formula, NESTLE,GOOD START ESSENTIALS SOY, with iron, ready-to-feed
Infant formula, ROSS, ISOMIL, with iron, powder, not reconstituted
Infant formula, ROSS, SIMILAC NATURAL CARE, ADVANCE, ready-to-feed, with ARA and DHA
Infant formula, ROSS, SIMILAC PM 60/40, powder, not reconstituted
Infant formula, ROSS, SIMILAC SPECIAL CARE ADVANCE 24, with iron, ready-to-feed, with ARA and DHA
Infant formula, ROSS, SIMILAC, ALIMENTUM, ADVANCE, ready-to-feed, with ARA and DHA
Infant formula, ROSS, SIMILAC, ALIMENTUM, with iron, ready-to-feed
Infant formula, ROSS, SIMILAC, ISOMIL, with iron, liquid concentrate
Infant formula, ROSS, SIMILAC, ISOMIL, with iron, ready-to-feed
Infant formula, ROSS, SIMILAC, low iron, liquid concentrate, not reconstituted
Infant formula, ROSS, SIMILAC, low iron, powder, not reconstituted
Infant formula, ROSS, SIMILAC, low iron, ready-to-feed
Infant formula, ROSS, SIMILAC, with iron, liquid concentrate, not reconstituted
Infant formula, ROSS, SIMILAC, with iron, powder, not reconstituted
Infant formula, ROSS, SIMILAC, with iron, ready-to-feed
Infant formula, WYETH, store brand soy, with iron, liquid concentrate, not reconstituted
Infant formula, WYETH-AYERST, store brand soy, with iron, powder, not reconstituted
Infant formula, WYETH-AYERST, store brand soy, with iron, ready-to-feed
Infant formula, WYETH-AYERST, store brand, low iron, liquid concentrate, not reconstituted
Infant formula, WYETH-AYERST, store brand, with iron, liquid concentrate, not reconstituted
Infant formula, WYETH-AYERST, store brand, with iron, powder, not reconstituted
Infant formula, WYETH-AYERST, store brand, with iron, ready-to-feed

~~~
50
Properties=species:S:1:pos:R:3 method="wB97M-V/def2-TZVPD" e_tot_ev=-46954.217 smiles="CSc1ccc(-c2c([C@@H]3CCC(F)(F)C[C@H]3C(=O)NCC#N)cc[nH]c2=O)cc1" homo_ev=-8.20 spin_multiplicity=1 mol_weight_g_mol=417.48 homo_lumo_gap_ev=8.23 relative_energy_kcal_mol=0.0
C -4.27929 -1.55114 -4.47341
S -4.31999 0.14381 -3.83941
C -2.73186 0.21549 -3.06924
C -1.83244 1.18244 -3.50545
C -0.59095 1.35712 -2.89748
C -0.23101 0.48297 -1.81189
C 1.05976 0.73203 -1.13391
C 1.23978 0.85621 0.25696
C 0.11322 0.82466 1.30601
C -0.00672 2.26583 1.83673
C -1.12922 2.27027 2.87649
C -0.88086 1.29871 4.04679
F -1.91620 1.42635 4.95246
F 0.26123 1.70684 4.63020
C -0.71506 -0.13258 3.59619
C 0.35139 -0.24636 2.41490
C 0.41245 -1.68786 1.82882
O -0.60293 -2.38417 1.65976
N 1.63550 -2.12886 1.36346
C 1.83100 -3.31511 0.56290
C 3.23162 -3.39300 0.20458
N 4.36782 -3.48233 -0.00730
C 2.62627 1.07174 0.72274
C 3.70065 1.17074 -0.13178
N 3.48930 0.90682 -1.46284
C 2.25820 0.77113 -2.03577
O 2.21478 0.69830 -3.25714
C -1.12481 -0.56516 -1.44231
C -2.37221 -0.68743 -2.06646
H -3.46420 -1.67484 -5.22830
H -4.15229 -2.23910 -3.63899
H -5.22356 -1.79592 -4.96809
H -2.08158 1.76987 -4.37848
H 0.11245 2.15137 -3.23555
H -0.80826 0.55918 0.80078
H 0.91023 2.64689 2.29189
H -0.30739 2.94091 1.03026
H -2.05171 2.01114 2.40303
H -1.26075 3.29677 3.28456
H -1.71477 -0.50639 3.29638
H -0.41565 -0.67609 4.51910
H 1.30348 -0.07429 2.92525
H 2.42347 -1.47681 1.55331
H 1.50715 -4.22503 1.08165
H 1.25124 -3.29768 -0.35475
H 2.78304 1.24645 1.79535
H 4.68763 1.33583 0.22760
H 4.28760 1.01975 -2.12055
H -0.84130 -1.33608 -0.69734
H -3.00425 -1.48341 -1.71173

***

39
Properties=species:S:1:pos:R:3 method="wB97M-V/def2-TZVPD" e_tot_ev=-445874.496 homo_ev=-9.02 spin_multiplicity=1 mol_weight_g_mol=683.76 homo_lumo_gap_ev=9.26 relative_energy_kcal_mol=108.1
C -1.26068 1.10121 -2.14174
C 0.05037 0.59046 -2.85622
C 0.98712 -0.17948 -1.80448
S 0.06452 -0.20707 -0.18316
O 0.38091 1.09745 0.48459
O -0.06168 -1.50600 0.44797
C -1.56810 0.05411 -1.02860
H -2.17633 1.34818 -2.67906
H -1.01491 1.98849 -1.55828
H 0.33608 1.56871 -3.24286
H -0.23826 -0.22156 -3.52363
H 2.05593 0.01530 -1.71612
H 0.98750 -1.24028 -2.05506
H -2.43449 0.22642 -0.39001
H -1.89506 -0.89153 -1.46098
Br -2.83874 -3.02291 0.27133
C -1.26483 -3.42823 -0.91613
C 0.01345 -3.92596 -0.13234
Br 1.55226 -3.86845 -1.36631
H -0.97451 -2.45325 -1.30757
H -1.45615 -4.15983 -1.70114
H -0.14311 -4.83550 0.44760
H 0.25004 -3.20768 0.65265
Br 4.19437 0.90606 -0.92752
C 2.77675 2.04135 -0.18392
C 2.90783 2.02298 1.34033
Br 1.41305 2.69601 2.39089
H 1.81704 1.76110 -0.61807
H 2.96413 3.11504 -0.19687
H 3.75458 2.54854 1.78180
H 2.97375 1.01673 1.75412
Br -2.25470 3.23867 2.60232
C -1.03352 1.72772 2.51814
C -1.59763 0.41997 3.15788
Br -3.41660 0.08314 2.53100
H -0.15175 2.12992 3.01695
H -0.84053 1.58117 1.45541
H -1.59415 0.45144 4.24742
H -1.26394 -0.58244 2.88969

***

11
~~~

ar: 2.89